Find the line further down that holds "53.50", then type out that line and all lines after it there, please.

'''
For KNiTe2O8, a crystal structure in Alexandria, relaxed with GGA+U gives the theoretical powder X-ray diffraction pattern in this record (copper Kα).
Neutral-atom scattering factors, no anomalous dispersion.

Atomic structure:
a b c (Å): 5.5597 5.5597 6.8165
angles (deg): 90.00 90.00 120.00
Fractional positions:
K  0.0000  0.0000  0.0000
Ni  0.0000  0.0000  0.5000
Te  0.3333  0.6667  0.4399
Te  0.6667  0.3333  0.5601
O  0.0640  0.3665  0.6225
O  0.3025  0.9360  0.6225
O  0.3333  0.6667  0.1657
O  0.3665  0.3025  0.3775
O  0.6335  0.6975  0.6225
O  0.6667  0.3333  0.8343
O  0.6975  0.0640  0.3775
O  0.9360  0.6335  0.3775

Top 8 peaks for 10 to 90 degrees two-theta, by angle:
| h k l | two_theta | intensity |
| --- | --- | --- |
| 0 0 1 | 13.0 | 100.0 |
| 0 1 1 | 22.6 | 26.1 |
| 0 0 2 | 26.1 | 14.7 |
| 1 1 0 | 32.2 | 47.8 |
| 2 -1 1 | 34.9 | 25.1 |
| 2 -1 2 | 41.9 | 25.4 |
| 2 -1 3 | 52.0 | 12.6 |
| 3 0 0 | 57.4 | 25.1 |

=====

Entry 1:
# Mg5Zn6
Computed powder diffraction line list, Cu Kα. Input: a DFT-relaxed cell (GGA-PBE, Alexandria).
Lines closer than 0.1° are merged.

Largest 10 diffraction maxima, most intense first, 2θ from 5° to 70°:
two_theta  I_rel
40.02  100
36.59  75
29.41  53
40.90  50
45.58  42
18.47  35
38.25  31
25.42  28
51.17  22
41.78  21

Structure:
```
Mg5Zn6
1.0
2.2063 -14.4108 0.0000
2.2063 14.4108 0.0000
0.0000 0.0000 3.1073
Mg Zn
5 6
direct
0.0000 0.0000 0.0000 Mg
0.1892 0.8108 0.5000 Mg
0.3729 0.6271 0.0000 Mg
0.6271 0.3729 0.0000 Mg
0.8108 0.1892 0.5000 Mg
0.0903 0.9097 0.5000 Zn
0.2748 0.7252 0.0000 Zn
0.4564 0.5436 0.5000 Zn
0.5436 0.4564 0.5000 Zn
0.7252 0.2748 0.0000 Zn
0.9097 0.0903 0.5000 Zn
```

Entry 2:
# Ba4In2O7
Computed powder diffraction line list, Cu Kα. Input: a DFT-relaxed cell (GGA-PBE, Alexandria).
Lines closer than 0.1° are merged.

Largest 10 diffraction maxima, most intense first, 2θ from 5° to 70°:
two_theta  I_rel
30.42  100
29.98  81
42.91  41
53.50  41
26.23  34
12.34  20
35.30  17
48.84  17
50.97  15
39.31  13

Structure:
```
Ba4In2O7
1.0
-2.1079 2.1079 14.3418
2.1079 -2.1079 14.3418
2.1079 2.1079 -14.3418
Ba In O
4 2 7
direct
0.0000 0.0000 0.0000 Ba
0.1223 0.1223 0.0000 Ba
0.2517 0.2517 0.0000 Ba
0.8504 0.8504 0.0000 Ba
0.4253 0.4253 0.0000 In
0.6835 0.6835 0.0000 In
0.1853 0.6853 0.5000 O
0.3529 0.3529 0.0000 O
0.4478 0.9478 0.5000 O
0.5992 0.5992 0.0000 O
0.6853 0.1853 0.5000 O
0.7671 0.7671 0.0000 O
0.9478 0.4478 0.5000 O
```

Entry 3:
# Ba3HfS5
Computed powder diffraction line list, Cu Kα. Input: a DFT-relaxed cell (GGA-PBE, Alexandria).
Lines closer than 0.1° are merged.

Largest 10 diffraction maxima, most intense first, 2θ from 5° to 70°:
two_theta  I_rel
24.13  100
29.76  73
24.59  40
29.47  36
38.75  30
43.01  28
44.06  28
24.02  26
54.15  22
47.43  22

Structure:
```
Ba3HfS5
1.0
-4.2857 4.2857 7.2398
4.2857 -4.2857 7.2398
4.2857 4.2857 -7.2398
Ba Hf S
6 2 10
direct
0.1635 0.6635 0.8270 Ba
0.2500 0.2500 0.0000 Ba
0.3365 0.1635 0.5000 Ba
0.6635 0.8365 0.5000 Ba
0.7500 0.7500 0.0000 Ba
0.8365 0.3365 0.1730 Ba
0.2500 0.7500 0.5000 Hf
0.7500 0.2500 0.5000 Hf
0.0000 0.0000 0.0000 S
0.0042 0.1968 0.5000 S
0.1968 0.6968 0.1925 S
0.3032 0.4958 0.5000 S
0.4958 0.9958 0.1925 S
0.5000 0.5000 0.0000 S
0.5042 0.0042 0.8075 S
0.6968 0.5042 0.5000 S
0.8032 0.3032 0.8075 S
0.9958 0.8032 0.5000 S
```

Entry 4:
# Tm11Tl9Ga4
Computed powder diffraction line list, Cu Kα. Input: a DFT-relaxed cell (GGA-PBE, Alexandria).
Lines closer than 0.1° are merged.

Largest 10 diffraction maxima, most intense first, 2θ from 5° to 70°:
two_theta  I_rel
34.60  100
34.13  94
34.37  93
61.13  45
48.71  27
31.92  23
30.44  19
32.57  18
61.54  15
31.37  15

Structure:
```
Tm11Tl9Ga4
1.0
7.2864 -11.0748 0.0000
7.2864 11.0748 0.0000
0.0000 0.0000 3.7385
Tm Tl Ga
11 9 4
direct
0.0000 0.0000 0.0000 Tm
0.0699 0.4123 0.0000 Tm
0.1647 0.8353 0.0000 Tm
0.3007 0.3007 0.0000 Tm
0.3683 0.6317 0.0000 Tm
0.4123 0.0699 0.0000 Tm
0.5877 0.9301 0.0000 Tm
0.6317 0.3683 0.0000 Tm
0.6993 0.6993 0.0000 Tm
'''

53.50  41
26.23  34
12.34  20
35.30  17
48.84  17
50.97  15
39.31  13

Structure:
```
Ba4In2O7
1.0
-2.1079 2.1079 14.3418
2.1079 -2.1079 14.3418
2.1079 2.1079 -14.3418
Ba In O
4 2 7
direct
0.0000 0.0000 0.0000 Ba
0.1223 0.1223 0.0000 Ba
0.2517 0.2517 0.0000 Ba
0.8504 0.8504 0.0000 Ba
0.4253 0.4253 0.0000 In
0.6835 0.6835 0.0000 In
0.1853 0.6853 0.5000 O
0.3529 0.3529 0.0000 O
0.4478 0.9478 0.5000 O
0.5992 0.5992 0.0000 O
0.6853 0.1853 0.5000 O
0.7671 0.7671 0.0000 O
0.9478 0.4478 0.5000 O
```

Entry 3:
# Ba3HfS5
Computed powder diffraction line list, Cu Kα. Input: a DFT-relaxed cell (GGA-PBE, Alexandria).
Lines closer than 0.1° are merged.

Largest 10 diffraction maxima, most intense first, 2θ from 5° to 70°:
two_theta  I_rel
24.13  100
29.76  73
24.59  40
29.47  36
38.75  30
43.01  28
44.06  28
24.02  26
54.15  22
47.43  22

Structure:
```
Ba3HfS5
1.0
-4.2857 4.2857 7.2398
4.2857 -4.2857 7.2398
4.2857 4.2857 -7.2398
Ba Hf S
6 2 10
direct
0.1635 0.6635 0.8270 Ba
0.2500 0.2500 0.0000 Ba
0.3365 0.1635 0.5000 Ba
0.6635 0.8365 0.5000 Ba
0.7500 0.7500 0.0000 Ba
0.8365 0.3365 0.1730 Ba
0.2500 0.7500 0.5000 Hf
0.7500 0.2500 0.5000 Hf
0.0000 0.0000 0.0000 S
0.0042 0.1968 0.5000 S
0.1968 0.6968 0.1925 S
0.3032 0.4958 0.5000 S
0.4958 0.9958 0.1925 S
0.5000 0.5000 0.0000 S
0.5042 0.0042 0.8075 S
0.6968 0.5042 0.5000 S
0.8032 0.3032 0.8075 S
0.9958 0.8032 0.5000 S
```

Entry 4:
# Tm11Tl9Ga4
Computed powder diffraction line list, Cu Kα. Input: a DFT-relaxed cell (GGA-PBE, Alexandria).
Lines closer than 0.1° are merged.

Largest 10 diffraction maxima, most intense first, 2θ from 5° to 70°:
two_theta  I_rel
34.60  100
34.13  94
34.37  93
61.13  45
48.71  27
31.92  23
30.44  19
32.57  18
61.54  15
31.37  15

Structure:
```
Tm11Tl9Ga4
1.0
7.2864 -11.0748 0.0000
7.2864 11.0748 0.0000
0.0000 0.0000 3.7385
Tm Tl Ga
11 9 4
direct
0.0000 0.0000 0.0000 Tm
0.0699 0.4123 0.0000 Tm
0.1647 0.8353 0.0000 Tm
0.3007 0.3007 0.0000 Tm
0.3683 0.6317 0.0000 Tm
0.4123 0.0699 0.0000 Tm
0.5877 0.9301 0.0000 Tm
0.6317 0.3683 0.0000 Tm
0.6993 0.6993 0.0000 Tm